Oct. 9, 2019
Unrelated to this entry: quantum chemistry results:
┌──
An isolated ion of composition C5H3O3 and charge -1 at a distorted geometry, computed with ωB97M-V/def2-TZVPD.

Atoms and positions in Å:
C 1.05 -0.58 0.47
C -1.02 0.06 -0.61
C 1.47 0.70 0.16
C -2.17 0.44 -0.21
C -0.28 -1.06 0.14
O -3.20 0.72 0.29
O -0.76 -2.20 0.27
O 0.94 1.79 -0.06
H 1.80 -1.27 0.67
H -0.46 0.56 -1.27
H 2.64 0.83 0.14

* relative energy (zero: lowest compared OMol25 entry of this formula, charge and spin): 35.74 kcal per mole
* E: -11375.5302 eV
* LUMO: 3.93 eV
* total charge: -1
* Kohn-Sham gap: 7.720 eV

~~~~~

Computed, not measured: a molecular structure, H7OPSSi2, with ωB97M-V/def2-TZVPD.

CARTESIAN COORDINATES (ANGSTROEM)
Si 2.0602 -0.1094 -0.3407
O 0.6399 -0.7687 -0.9079
Si -0.7617 -1.0641 -0.1320
P -1.6456 0.9995 0.3644
S -0.4495 2.4872 -0.0607
H 3.0578 -1.2015 -0.3281
H 1.8523 0.3527 1.0481
H 2.5096 0.9762 -1.2193
H -0.5630 -1.7795 1.1447
H -1.7104 -1.7713 -1.0069
H -2.9080 0.9882 -0.2608
H -2.0817 0.8905 1.6992

Summary:
Total charge: 0
Frontier orbital gap in hartree: 0.331
Highest occupied orbital energy in eV: -8.679

The molecule's Löwdin atomic charges, reported in e, are given here:
1. Si 0.48
2. O -0.57
3. Si 0.36
4. P 0.13
5. S 0.03
6. H -0.07
7. H -0.06
8. H -0.06
9. H -0.05
10. H -0.05
11. H -0.07
12. H -0.07



Computed, not measured: a gas-phase ion, C4H9NOS (charge +1), with ωB97M-V/def2-TZVPD.

CARTESIAN COORDINATES (ANGSTROEM)
C -1.8196 2.1009 -0.2645
N -0.7271 1.4827 -1.1689
C 0.1274 0.3833 -0.5677
C -0.4185 -1.0545 -0.3177
S 1.0297 -2.2294 0.1229
C 0.7697 0.9930 0.6042
O 0.3576 0.8783 1.7580
H -2.3905 2.8910 -0.8466
H -1.3703 2.5368 0.6028
H -2.5530 1.3726 0.1150
H -1.3666 0.9622 -1.9474
H 0.9854 0.1415 -1.1633
H -0.9354 -1.5673 -1.1092
H -0.9307 -1.1942 0.5949
H 0.9226 -3.1483 -1.0166
H 1.4385 1.7338 0.1980

Summary:
Multiplicity: 2
Total charge: +1
Energy relative to the best compared isomer or geometry (same formula, charge and spin) in kJ/mol: 265.1
Frontier orbital gap (spin up / spin down) in hartree: 0.368 / 0.164
Highest occupied orbital energy (spin up / spin down) in eV: -14.357 / -13.802

The molecule's Löwdin atomic charges, reported in e, are given here:
1. C -0.06
2. N 0.00
3. C -0.39
4. C -0.32
5. S 1.04
6. C -0.24
7. O 0.09
8. H 0.11
9. H 0.06
10. H 0.09
11. H 0.18
12. H 0.12
13. H 0.08
14. H 0.06
15. H 0.02
16. H 0.14



Computed, not measured: a molecular structure, C4H7N3, with ωB97M-V/def2-TZVPD.

CARTESIAN COORDINATES (ANGSTROEM)
N -2.1861 -0.4760 0.3328
C -1.1387 0.3527 -0.0419
C 0.1523 -0.3643 -0.1790
C 1.4663 0.0372 0.1454
N 2.4712 -0.7087 0.6767
C 1.4204 1.0295 -0.7584
N -1.2817 1.6045 -0.2841
H -3.1109 -0.1851 0.0527
H -2.0419 -1.4730 0.3186
H 0.0505 -1.3965 -0.5419
H 3.3814 -0.4862 0.2961
H 2.2881 -1.7011 0.7460
H 0.7021 1.8484 -0.6589
H -2.2366 1.9053 -0.0893

Summary:
Total charge: 0
Energy relative to the best compared isomer or geometry (same formula, charge and spin) in kJ/mol: 358.0
Frontier orbital gap in hartree: 0.317
Highest occupied orbital energy in eV: -7.944
└──
Five vaccine myths we are debunking this flu season

Do you know someone who proudly declares their reasons for not getting the flu shot every year? UCalgary occupational health nurse Brendan Webster says you shouldn’t take their opinions at face value because the science is in — flu shots save time, money and lives.
“The most effective method to preventing yourself and others from contracting this year’s flu strain is to get vaccinated,” Webster says. “Flu shots are free, easy and well worth it.”
To keep yourself and other’s healthy this flu season, students, faculty and staff at UCalgary are strongly encouraged to drop in for a free flu shot at one of the six UCalgary campuses from Oct. 21 to Nov. 1.
Last year, over 5,300 students, faculty and staff members on campus got their vaccine on campus — but if you’re still not convinced the flu shot is for you, we are busting five myths about the vaccine to change your mind.
Myth 1: Getting vaccinated is a major hassle
We’re making it easy to get your flu shot — just walk into a flu clinic at one of six UCalgary campuses Oct. 21 to Nov. 1:
- Main campus, Oct. 21 to 24 (students, faculty or staff) — walk-in only
- Downtown campus, Oct. 25 (students, faculty or staff) — walk in or make an appointment
- Foothills campus, Oct. 28 (students, faculty or staff) and Oct. 29 (employees only)— walk in or make an appointment
- SMART building, Oct. 30 (employees only) — walk in or make an appointment
- Spyhill campus, Oct. 31 (students, faculty or staff) — walk-in only
- Olympic Volunteer Centre, Nov. 1 (employees only) — walk in or make an appointment
Unrelated to this entry: data records.
********
# 1
Computed, not measured: 2 unconnected molecules or ions with the total composition C4H6ClNO, with ωB97M-V/def2-TZVPD.

```
13
Properties=species:S:1:pos:R:3
C 1.3779 0.5250 0.9619
C -1.1288 -0.1840 -2.4461
C 0.7605 -0.1845 1.9003
C -1.3549 -0.5426 -1.2165
N 2.3090 0.9894 0.3014
O 0.2177 0.2670 2.9901
Cl -1.1058 -2.2081 -0.6766
H -1.6546 0.7285 -2.5879
H -0.7421 -0.9293 -3.2427
H 2.0720 1.6224 -0.4754
H 0.4100 -1.1588 1.6237
H -1.8470 0.0612 -0.5292
H 0.6862 1.0138 3.3969
```

Computed properties:
- E: -746.080282 Eh
- Maximum force: 0.0767 Eh/bohr
- Energy relative to the best compared isomer or geometry (same formula, charge and spin): 385.9 kJ/mol
- Structure (SMILES): N=C=CO.C=CCl
- Charge: 0

Charges obtained by natural (NBO) population analysis, quoted in units of e:
1 C 0.26
2 C -0.43
3 C -0.04
4 C -0.17
5 N -0.61
6 O -0.66
7 Cl -0.05
8 H 0.22
9 H 0.23
10 H 0.36
11 H 0.21
12 H 0.21
13 H 0.48


# 2
Computed, not measured: 8 unconnected molecules or ions with the total composition C33H52BN7O, with ωB97M-V/def2-TZVPD.

```
94
Properties=species:S:1:pos:R:3
C 0.8153 2.1173 -1.4548
C 1.6333 0.8363 -1.2668
C 3.1083 1.2193 -0.8508
C 3.7863 0.2273 -0.0938
C 2.7623 0.0973 1.2042
C 1.3963 -0.6667 0.7482
N 0.8823 0.0473 -0.2928
O -0.3567 -0.1537 -0.5128
C 0.4133 -0.6707 2.1182
C 1.6293 -2.0487 0.3682
C 1.5363 -0.0287 -2.6318
H 1.3863 2.9753 -2.0288
H 0.6023 2.6473 -0.6228
H -0.1627 2.0333 -1.9358
H 2.8003 2.1833 -0.2238
H 3.4243 1.2123 -1.7848
H 4.7493 0.4663 0.3522
H 4.0253 -0.7747 -0.6078
H 2.3963 0.8753 1.7902
H 3.2883 -0.2947 2.0162
H -0.2197 -1.3507 2.0902
H -0.0887 0.2093 2.0992
H 1.0513 -0.8357 2.9522
H 0.6983 -2.4287 0.0462
H 1.8983 -2.4217 1.2862
H 2.6133 -2.0237 -0.2358
H 2.0953 -0.8027 -2.2008
H 2.0973 0.2793 -3.3668
H 0.5393 -0.3887 -2.9738
B 6.0373 -2.5717 -0.8708
H 6.9133 -3.3247 -0.8078
H 5.0753 -3.2397 -0.2608
H 6.4133 -1.4917 -0.2548
H 5.6213 -2.1247 -1.9128
N 3.5303 0.9323 4.4062
C 2.3583 0.8053 5.1442
C 1.3453 1.9353 4.6642
C 2.4153 2.8063 4.0502
C 3.7633 2.0973 3.8242
H 4.3863 0.3953 4.4032
H 2.1113 0.0623 6.0082
H 0.3523 2.3683 5.0042
H 2.3743 3.7193 3.5242
H 4.7683 2.3443 3.2972
N -0.4487 -4.9217 1.8742
C -1.8157 -4.7107 1.4772
C -2.4317 -3.8137 2.4122
C -1.3947 -3.4257 3.4012
C -0.0727 -4.0727 2.8982
H -0.0007 -5.8047 1.4512
H -2.1207 -5.3157 0.5582
H -3.3047 -3.5657 2.5522
H -1.6367 -2.7787 4.1472
H 0.8613 -4.0767 3.1212
N -5.7007 -1.3417 -0.3608
C -4.5097 -1.6867 -1.1158
C -3.3707 -1.4627 -0.1208
C -3.9887 -1.1537 1.1622
C -5.5087 -0.8837 0.9042
H -6.6067 -1.4357 -0.6568
H -4.3127 -2.0337 -2.0558
H -2.3937 -1.7987 -0.1478
H -3.5527 -1.0577 2.1062
H -6.2127 -0.4817 1.6162
N -1.2387 -3.3077 -5.0528
C -1.8767 -2.0747 -4.9918
C -1.7037 -1.5797 -3.4888
C -0.8967 -2.7277 -2.8518
C -0.5307 -3.6777 -3.9228
H -1.2327 -3.7627 -6.0358
H -2.2637 -1.6727 -5.8708
H -2.0047 -0.5067 -3.1778
H -0.7467 -2.8877 -1.7758
H -0.0937 -4.6107 -3.7878
N -1.5707 4.6423 1.7092
C -1.4677 3.2293 1.9042
C -2.8207 2.7123 2.3442
C -3.6967 3.9583 2.5012
********
View the complete schedule and appointment availability for all campuses — and don’t forget your provincial healthcare card!
“To keep our wait times short, we encourage clinic walk-ins at low-demand times like mid-morning and mid-afternoon,” Webster says. “This keeps the flow of traffic quick and manageable.”
To make the lineups even more efficient, employees are encouraged to pre-fill their immunization registration, and bringing their barcode to the clinic.
Find more time-saving instructions at ucalgary.ca/fluniversity.
Myth 2: The flu shot gives me the flu
No, the flu shot cannot give you the flu. Flu viruses in the vaccine are dead, and a dead virus cannot infect you — it’s just not possible.
"After a flu shot, some people may feel a bit under the weather, have muscle aches or an achy arm at the injection site — but it is not possible to contract the flu from a flu shot,” Webster says.
Myth 3: I got the flu a week after I was vaccinated — flu shots obviously don’t work.
The best way to prevent the flu is to get vaccinated as soon as possible. However, it is possible to get sick if you were exposed to the flu virus before your flu shot, or the two weeks after your shot was administered.
It’s also possible to be infected by a virus strain that was not included in the vaccine for the season. But even then, Webster says the flu vaccine can provide partial protection that limits symptoms and their duration.
“The World Health Organization does a great job of predicting what influenza viruses will be most widespread during a given flu season,” Webster says. “Even partial protection can save lives.”
Myth 4: Why bother? I never get the vaccine and I never get the flu
Yes, the flu vaccine will prevent you from getting the flu — but it’s not just for you. Your vaccination also protects members of vulnerable populations like babies, seniors and the immunocompromised.
“There are cases where vulnerable people may not receive flu vaccination — but if the people around them are vaccinated, herd immunity protects them,” Webster says.
Your immune system may be strong enough to protect you from experiencing flu symptoms, but what about your grandparents, your nieces and nephews, your colleague with a weakened immune system, or your friend with a chronic illness? Get the flu shot for you and for them.
Myth 5: The flu isn’t that even that bad
== The text is interrupted by records of molecules ==
____________
1.
98
Properties=species:S:1:pos:R:3:forces:R:3 method="wB97M-V/def2-TZVPD" orbital_gap_ha="0.23099 / 0.20725" e_homo_ev="-2.62 / -2.66" e_tot_ha=-7935.62367 multiplicity=2 total_charge=-2
Hg -0.03586 0.16001 0.90241 0.1 0.0 0.2
Cl -7.54373 -1.15910 -0.12087 0.0 0.0 0.0
C -5.88940 -0.88417 -0.55005 0.1 0.2 -0.2
C -5.58685 -0.21119 -1.77438 -0.1 -0.1 0.3
Cl -6.88085 0.28384 -2.81215 0.0 0.0 0.0
C -4.28219 0.04577 -2.11957 -0.1 -0.1 0.0
Cl -3.90332 0.82920 -3.61822 0.0 0.0 0.1
C -3.15890 -0.32577 -1.27758 -0.4 -0.1 0.0
O -2.00921 0.01414 -1.52763 0.3 0.1 -0.2
C -3.46777 -1.12982 -0.04069 -0.3 0.1 -0.1
O -2.56487 -1.55837 0.67164 0.0 -0.1 0.1
C -4.87576 -1.31270 0.27498 0.0 -0.1 -0.1
Cl -5.22943 -2.18486 1.72788 0.0 0.1 0.0
F 6.44742 -0.16444 -5.84165 0.1 0.0 -0.1
C 5.36269 0.16588 -5.09421 -0.1 0.0 0.0
C 5.55149 0.68629 -3.83543 -0.1 0.1 0.2
C 4.42486 1.01453 -3.07911 -0.1 0.0 0.0
C 3.12800 0.81249 -3.55801 0.2 0.1 0.0
C 2.99812 0.29567 -4.85111 0.1 0.1 0.1
C 4.10761 -0.02689 -5.62777 -0.2 0.0 0.0
Sb 1.35211 1.29042 -2.35038 0.5 0.1 -0.4
C 0.89899 2.88594 -3.81529 -0.3 0.0 0.0
C 1.93425 3.72693 -4.23991 -0.2 0.0 -0.1
C 1.70245 4.79440 -5.10447 0.1 -0.1 0.1
C 0.41200 5.02266 -5.53637 0.1 0.0 0.1
F 0.17913 6.04879 -6.39289 0.0 0.2 -0.1
C -0.64915 4.25629 -5.11918 -0.1 -0.2 0.1
C -0.39526 3.19680 -4.24753 0.0 -0.1 0.1
C 0.35010 -0.36790 -3.28857 0.0 -0.1 0.0
C 0.60066 -1.61081 -2.69872 0.0 0.1 0.0
C 0.04016 -2.77256 -3.21948 0.1 0.1 0.2
C -0.77081 -2.66850 -4.32836 0.0 0.1 0.0
F -1.31682 -3.79853 -4.84516 -0.1 -0.1 -0.1
C -1.04716 -1.46449 -4.93714 0.0 0.2 0.0
C -0.47704 -0.30927 -4.40590 0.0 -0.1 0.1
H 6.55593 0.82469 -3.44872 -0.1 0.0 0.0
H 4.58091 1.44197 -2.09624 0.0 -0.1 0.0
H 2.01585 0.13950 -5.27507 -0.1 0.0 0.0
H 4.00199 -0.42472 -6.63137 0.0 0.0 0.1
H 2.94985 3.54946 -3.89872 0.0 0.0 -0.1
H 2.50637 5.43613 -5.44431 0.0 0.0 0.0
H -1.65086 4.48443 -5.46829 0.1 0.0 0.0
H -1.24070 2.60411 -3.89511 0.1 0.1 -0.1
H 1.23919 -1.67416 -1.81666 -0.1 0.0 -0.1
H 0.22034 -3.74281 -2.76993 0.0 0.1 0.0
H -1.70048 -1.43297 -5.80039 0.0 0.0 0.0
H -0.69740 0.64204 -4.87696 0.0 0.0 0.0
C 0.74671 2.21686 4.39509 0.1 0.1 0.1
N 2.11538 1.73504 4.41832 -0.4 0.0 -0.1
C 2.47917 0.42987 4.53761 0.2 0.4 0.0
Se 1.42650 -1.00047 4.92809 0.0 -0.1 0.0
N 3.83078 0.41198 4.36850 0.1 0.2 -0.1
C 4.32947 1.69540 4.15245 -0.1 -0.4 0.1
C 5.60361 2.18993 3.98206 0.3 0.2 0.3
C 5.73594 3.56762 3.81953 0.0 -0.1 0.3
C 4.62569 4.40826 3.82930 0.0 0.0 0.0
C 3.34496 3.90267 4.01677 -0.1 0.1 0.0
C 3.22651 2.53499 4.18327 -0.4 0.0 0.0
H 0.09187 1.38363 4.62149 0.0 -0.1 0.0
H 0.49623 2.59277 3.40917 0.0 0.0 -0.1
H 0.61275 3.00594 5.13850 0.0 0.0 0.0
H 4.32897 -0.45313 4.27974 0.1 -0.1 0.0
H 6.46759 1.53761 3.96289 -0.1 0.1 0.0
H 6.72108 3.98920 3.66065 -0.1 -0.1 0.0
H 4.75971 5.47303 3.67791 0.0 -0.1 0.0
H 2.47348 4.54587 4.02281 0.0 0.0 0.0
C -3.67812 1.54602 4.56061 -0.1 0.0 -0.1
C -3.19667 0.79054 3.32734 -0.2 0.2 -0.1
N -3.69026 1.34593 2.06265 0.2 0.2 0.2
____________
== End of the records of molecules ==
According to the most recent flu season’s stats, 92 people died from the flu in Alberta — a 30-per-cent increase from the year previous — and this year it’s estimated approximately 12,200 hospitalizations and 3,500 deaths in Canada will be credited to influenza.
“Getting the flu is not a big deal for some of us, but it can be deadly for others,” Webster says. “We need to make an effort to get immunized for our own protection and the protection of others.”
Learn more about flu clinics on campus, and plan your flu shot today.
Thanks to the SU for donating use of the North Courtyard for UCalgary’s mass influenza vaccination clinic.